I just got off the phone with a senior leader at a multinational. He’s experienced, highly competent and in the middle of a turnaround situation.
During our call, I asked him “so what’s your vision for your team next year? How do they need to grow and step up? What would you like them to be doing differently this time in twelve months.”
This stumped him. “You’re right, this is important. And actually, I’ve been meaning to think this through properly but there are so many operational demands right now I’ve not had the time to think clearly. I’m taking some holidays over Christmas, so will try to give it some thought then.”
Aside from the point that his holidays should be for resting and relationships and not for strategic thinking about work, he’s obviously unclear about exactly what his leadership team needs right now, and so he’s unable to be intentional and strategic in making sure they grow.
Sound familiar? I’ve been there, too. There can be so much to do that we forget to think carefully about some of the most important levers we have at our disposition, such as helping our team step up to a new level. So we remain the bottleneck, because too much has to rest on our shoulders.
What’s a people plan (team development plan) and why do I want one?
Most leaders know the frustration of the team not living up to their potential, but are quietly cynical about the opportunity for real change. I regularly hear comments like “there’s too much dead weight”, “I just don’t have quality people”, “ people just aren’t stepping up” and so forth.
But there’s no business transformation without personal transformation.
So getting intentional about growing your people, and strategic about how you do just that, is a must for any manager who truly wants to lead their team to a new level of business results.
A People Plan is simply about getting your best thoughts to grow your team on paper, and taking steps to make that a reality.
Of course, many corporations have annual performance reviews and development planning processes. But these:
In contrast, the People Plan is lightweight, simple and effective. It forces you as a manager to get highly strategic and consider the real issues holding your team back - individually and corporately.
If you’re in a hurry, the best thing to do is download the People Plan worksheets now so you have them available and can work through them at a convenient time. This is highly valuable, strategic work that can transform how things pan out over the year ahead.
No interest? Well, do you have a #1 Strategic Goal?
If leaders aren’t interested in team development, it’s probably because they’re not pursuing a goal so exciting and ambitious that it requires everyone to step up to a new level.
Typically when I work with leaders and their team I help them identify and mobilise their people around a “rallying cry” - a #1 strategic goal that will make a massive difference in the business.
So, what would ‘a massive difference’ look like in your business?
Defining and aligning around that goal is a subject in itself. If you’d like to speak more about what that might look like for your team, let’s schedule a 1:1 conversation to discuss.
How to create a powerful people plan / team development plan
Great leaders take time to invest in the most strategic activities.
The others complain about being too stuck in too many operational details.
Procrastination on strategic activities is a killer. But it’s a lot easier to get something done when it’s clear and actionable rather than just a fuzzy concept.
So, let’s get clear on the step-by-step process you’ll need to develop a ‘people plan’ for your team. This will help you become incredibly strategic and focused on how to get the best from your team in the next year.
BEFORE the people planning session you need to make sure your people planning session doesn’t become a victim of day-to-day business pressures. This kind of important, strategic work can so easily get squeezed by the urgent.
DURING the people planning session there are 4 main steps that will help you get the best from the time you’ve set aside.
AFTER the people planning session you must avoid wasting your effort and ensure you get the value out of the thinking you’ve done.
I shot a quick video where I explain these points briefly. You might like to watch that:
BEFORE the people planning session: Make sure it actually happens
The first step is to actually set yourself up for success and turn this from a “good idea” into a “mini-project that gets done”.
There are two key steps you can do right now to take action:
1. Schedule a meeting with yourself
Go ahead, grab your calendar right now and block out some time with yourself to actually do this. What doesn’t get scheduled doesn’t get done. An hour would be a good amount of time for the people planning exercise.
Feeling some resistance at the idea of taking an hour out of your week for this kind of reflection? Remember this is the ‘deep work’ - the important strategic thinking that will give you clarity on how to take your team up a level in the year ahead. This is “$10K/hour work” as a minimum.
2. Print out the worksheets so they’re ready
We’re more likely to procrastinate at hard, ambiguous and ill-defined tasks. So download and print out the people plan worksheets now, so you can just sit down at the right moment, follow the process, and come out with a clear plan.
DURING the people planning session: Run through the 4-step process
1. Map the current reality of your team
(a) Map performance vs potential
Plot each person in your team on the performance chart.

High Performance vs. Expectations + High Performance vs. Potential
PLATEAU. They’re a great fit in their current role - though you sense they may have plateau’d.
High Performance vs. Expectations + Low Performance vs. Potential
PROMISING. They’re doing well, but could be contributing at an even higher level.
Low Performance vs. Expectations + High Performance vs. Potential
PROBLEM. You’re unhappy with their performance but aren’t convinced they have it in them to step up.
Low Performance vs. Expectations + Low Performance vs. Potential
CONUNDRUM. Something’s going on: they have a lot to give but right now something’s not quite working or they’ve yet to hit their stride in their current role.
You will end up with a map looking something like this:

(b) Identify their limiting factor
Next to each person, ask yourself “what’s holding them back right now?” and write down their #1 limiting factor. It’s helpful to first identify the category:
Once you’ve decided if the issue is IQ, EQ or CQ, you can go ahead and jot down a one-sentence note on the specific issue.

(c) Clarify your best vision of them
One of the most incredible gifts a leader can give their people is the gift of vision. Often we think of vision in terms of business vision, annual goals, and overall industry trends.
But if you offer people an inspiring vision of how you see them and who they can become, they will often respond and grow in amazing ways.
So ask yourself: what do you see in them? What’s their superpower? What’s their next level? What’s within them that, if they could just draw out and access, would change everything?
Four letters can change someone’s life: I.C.N.U.. I see in you…
So, what do you see in your people? Often they might not even see it themselves. And if you don’t see it, it will be impossible for you to draw it out of them.

Crystal structures from another source follow >
........
# 1
Starting from a GGA-PBE-relaxed structure, the powder X-ray diffraction pattern of Dy2Fe4B4Pt was calculated for copper Kα.
Peak positions follow from Bragg's law for the DFT cell and can differ from measured ones.

Peak list (12 most intense, 2θ = 15–90°, low angle first)
| two_theta | I (rel.) |
| --- | --- |
| 18.75 | 23 |
| 31.37 | 100 |
| 37.75 | 12 |
| 38.04 | 35 |
| 39.93 | 61 |
| 41.61 | 56 |
| 53.46 | 9 |
| 57.64 | 18 |
| 60.42 | 16 |
| 65.46 | 10 |
| 67.21 | 13 |
| 70.00 | 13 |

Structure:
Cell lengths 7.2679, 6.0855, 5.3840 Å; angles 78.38, 55.10, 46.52 degrees
Element x y z (fractional)
Dy  0.1471  0.1471  0.8529
Dy  0.8529  0.8529  0.1471
Fe  0.0000  0.0000  0.5000
Fe  0.2500  0.2500  0.2500
Fe  0.5000  0.5000  0.0000
Fe  0.7500  0.7500  0.7500
B  0.1964  0.5336  0.4664
B  0.4664  0.8036  0.1964
B  0.5336  0.1964  0.8036
B  0.8036  0.4664  0.5336
Pt  0.5000  0.5000  0.5000

# 2
Starting from a GGA-PBE-relaxed structure, the powder X-ray diffraction pattern of ErCuB4 was calculated for copper Kα.
Peak positions follow from Bragg's law for the DFT cell and can differ from measured ones.

Peak list (12 most intense, 2θ = 15–90°, low angle first)
| two_theta | I (rel.) |
| --- | --- |
| 20.59 | 45 |
| 23.69 | 67 |
| 30.76 | 16 |
| 33.12 | 72 |
| 34.04 | 32 |
| 41.13 | 100 |
| 41.89 | 49 |
| 48.48 | 17 |
| 59.97 | 26 |
| 60.34 | 18 |
| 65.76 | 17 |
| 74.59 | 17 |

Structure:
Cell lengths 3.1519, 5.2677, 7.5113 Å; angles 90.00, 90.00, 90.00 degrees
Element x y z (fractional)
Er  0.0000  0.0000  0.0000
Er  0.5000  0.5000  0.5000
Cu  0.0000  0.0000  0.5000
Cu  0.5000  0.5000  0.0000
B  0.0000  0.3218  0.2608
B  0.0000  0.3218  0.7392
B  0.0000  0.6782  0.2608
B  0.0000  0.6782  0.7392
B  0.5000  0.1782  0.2392
B  0.5000  0.1782  0.7608
B  0.5000  0.8218  0.2392
B  0.5000  0.8218  0.7608

* * * * *

1.
Diffraction record for Tb5Se2O10F3. The PXRD pattern is calculated, not measured: it uses a crystal structure in OQMD, relaxed with PBE and Cu Kα X-rays.
No peak broadening, texture or thermal motion is included.

Atomic structure:
a = 6.4779 Å, b = 6.4779 Å, c = 8.8314 Å
α = 95.07°, β = 95.07°, γ = 49.55°
Atoms (fractional coordinates):
Tb (0.0000, 0.0000, 0.0000)
Tb (0.2779, 0.2779, 0.8764)
Tb (0.4178, 0.4178, 0.2591)
Tb (0.5822, 0.5822, 0.7409)
Tb (0.7221, 0.7221, 0.1236)
Se (0.1113, 0.1113, 0.3660)
Se (0.8887, 0.8887, 0.6340)
O (0.1190, 0.6024, 0.0641)
O (0.1607, 0.6836, 0.7672)
O (0.2544, 0.2544, 0.3691)
O (0.3164, 0.8393, 0.2328)
O (0.3976, 0.8810, 0.9359)
O (0.6024, 0.1190, 0.0641)
O (0.6836, 0.1607, 0.7672)
O (0.7456, 0.7456, 0.6309)
O (0.8393, 0.3164, 0.2328)
O (0.8810, 0.3976, 0.9359)
F (0.1398, 0.1398, 0.6698)
F (0.5000, 0.5000, 0.5000)
F (0.8602, 0.8602, 0.3302)

Most intense lines, 2θ from 10° to 80°, low angle first:
d 8.790, I = 46
d 3.215, I = 86
d 3.059, I = 100
d 2.728, I = 18
d 2.715, I = 34
d 2.699, I = 17
d 2.474, I = 22
d 1.924, I = 26
d 1.914, I = 24
d 1.626, I = 15

---

2.
........
So much for the crystal structures >

2. Review environmental factors affecting each person
So now you’ve built a map of the current situation and what’s going on for each of your team. Now let’s actually consider the environment that you, as the leader, have created for that person. What’s the context they’re operating in, and how’s that affecting them?
(a) Organisational clarity + context
It’s worth asking yourself how the organisation is supporting or hindering each person:
Note down your thoughts for each person.

(b) Your leadership culture
As leadership John Maxwell says “the leader is the lid”.
In other words, you set the ceiling on your own team’s performance. Leaders define the culture, so it’s worth having a good look at yourself and the kind of culture you’re creating.
Here’s a simple way to do just that.
For each person, ask yourself: how much support, and how much challenge, have they received from you over the last few months?
For each person, ask yourself: how much support, and how much challenge, have they received from you over the last few months?

Support & Challenge - Defined
Action: Position them on the map as shown below. Give some thought about what support or what challenge you need to become an Activator to them and release their full commitment and energy. Use the worksheet to help you process and capture your thoughts.

(c) Ideal role in the organisation
The final question is the overall role fit. Given what you know about their strengths, motivations, and limitations, are they in the absolute best role for them right now? If not, what would that role be - or how could they transform the current role to align better with their strengths and skills?

For example, you may identify a potential job move - or you might notice that if they could just delegate, say, the project management side of their role they would be freed up for the people management side where they truly excel.
3. Consider the team globally
Now you’ve looked at the individuals, step back and think about the team as a unit. It’s beyond the scope of this article to go into great detail about this, but here are some questions you can ask yourself:

Take a team diagnostic: A team assessment is a fabulous way to get your thoughts straight on what’s holding back the collective team.
When I work with teams I use a comprehensive diagnostic tool that every team member completes and that evaluates six primary areas of team health in detail.
However, to get started you can take 60 seconds and use our free Team Kryptonite Assessment to get an instant read of the #1 barrier to increasing your team’s performance.
4. Identify potential initiatives
So you’ve mapped out where each person is, and thought through the environmental factors helping and hindering their performance. Now it’s time to turn these into concrete initiatives you can implement.
(a) Identify 1-2 initiatives per person
Based on your previous thinking, write down one or two initiatives that would help each person the most.
You’ll find it helpful to note down both the what and the why in a single sentence.
For example, if Joe’s limiting factor is his lack of confidence in managing meetings, perhaps you write down “Ask Joe to chair our weekly meetings (so he can build experience and confidence)”.

• Attached: materials data:
1.
Structure and computed PXRD pattern of KNaCo2F8 (a GGA+U-relaxed structure; Cu Kα).
Intensities are scaled so that the largest is 100.

Largest 8 diffraction maxima, in order of rising 2θ, 2θ from 15° to 90°:
2θ/deg  Rel. int.
22.6  90.8
30.7  100.0
33.9  33.5
38.4  40.0
42.3  78.0
49.9  26.1
53.9  28.1
54.5  43.8

Structure:
```
KNaCo2F8
1.0
5.8333 0.0000 0.0000
-2.9166 5.0518 0.0000
0.0000 0.0000 6.2828
K Na Co F
1 1 2 8
Cartesian
0.0000 0.0000 0.0000
0.0000 0.0000 3.1414
0.0000 3.3679 2.9029
2.9167 1.6839 3.3799
-0.6888 1.9367 3.9848
-0.8950 4.6800 3.9848
0.0000 3.3679 1.0941
1.3328 1.5649 2.2980
1.5838 3.4869 3.9848
2.9167 1.6839 5.1887
3.8116 0.3718 2.2980
3.6055 3.1151 2.2980
```



2.
Structure and computed PXRD pattern of KCoNiF6 (a GGA+U-relaxed structure; Cu Kα).
Intensities are scaled so that the largest is 100.

Largest 8 diffraction maxima, in order of rising 2θ, 2θ from 15° to 90°:
2θ/deg  Rel. int.
15.1  42.9
29.0  100.0
29.2  41.8
30.2  29.2
30.5  42.4
46.5  18.1
50.7  46.5
60.1  16.3

Structure:
```
KCoNiF6
1.0
-3.5721 3.6228 5.1068
3.5721 -3.6228 5.1068
3.5721 3.6228 -5.1068
K Co Ni F
2 2 2 12
Cartesian
0.0000 1.8114 1.1389
3.5721 1.8114 3.9679
3.5721 0.0000 0.0000
0.0000 0.0000 5.1068
1.7860 1.8114 -2.5534
1.7860 -1.8114 2.5534
3.5721 -1.8114 3.3956
2.1884 -0.3036 1.2858
4.9557 -0.3036 1.2858
3.5721 1.8114 0.5801
2.1884 3.3192 -1.2858
1.3837 -0.3036 3.8211
2.1884 3.9264 1.2858
1.3837 0.3036 6.3926
0.0000 1.8114 4.5267
-1.3837 3.9264 3.8211
1.3837 3.9264 3.8211
0.0000 5.4342 1.7112
```



3.
Structure and computed PXRD pattern of K2Co3PbF12 (a GGA+U-relaxed structure; Cu Kα).
Intensities are scaled so that the largest is 100.

Largest 8 diffraction maxima, in order of rising 2θ, 2θ from 15° to 90°:
2θ/deg  Rel. int.
28.2  100.0
28.8  33.3
29.3  53.8
30.4  24.5
38.1  22.3
44.6  35.4
48.6  39.2
50.0  21.3

Structure:
```
K2Co3PbF12
1.0
3.7471 2.1634 5.8786
-3.7471 2.1634 5.8786
0.0000 -4.3268 5.8786
K Co Pb F
2 3 1 12
Cartesian
0.0000 0.0000 2.1921
0.0000 0.0000 15.4437
-1.8736 -1.0817 5.8786
-1.8736 1.0817 11.7572
0.0000 2.1634 5.8786
0.0000 0.0000 8.8179
-2.0203 -1.1664 7.8210
0.0000 -1.6305 6.1268
-1.4120 0.8152 6.1268
0.0000 -2.3328 9.8148
-2.0203 1.1664 9.8148
-1.4120 -0.8152 11.5090
1.4120 0.8152 6.1268
2.0203 -1.1664 7.8210
0.0000 2.3328 7.8210
1.4120 -0.8152 11.5090
0.0000 1.6305 11.5090
2.0203 1.1664 9.8148
```



4.
Structure and computed PXRD pattern of KCoPbF6 (a GGA+U-relaxed structure; Cu Kα).
Intensities are scaled so that the largest is 100.

Largest 8 diffraction maxima, in order of rising 2θ, 2θ from 15° to 90°:
2θ/deg  Rel. int.
18.2  49.3
18.3  57.9
25.9  100.0
32.0  53.0
37.1  56.3
41.5  28.1
41.7  67.1
53.5  27.8

Structure:
```
KCoPbF6
1.0
5.5880 0.0000 0.0000
-2.7940 4.8394 0.0000
0.0000 0.0000 4.8726
K Co Pb F
1 1 1 6
Cartesian
0.0000 0.0000 0.0000
2.7940 1.6131 3.2445
0.0000 3.2262 2.4560
1.4328 0.8796 2.2165
2.7589 0.0298 4.2630
1.4404 2.4352 4.2630
4.1099 0.8011 2.2165
2.8393 3.1587 2.2165

(b) Identify 1-2 initiatives for the team
What does the team need, collectively, in the year ahead? Identify a couple of initiatives to build collective team capacity and performance. An away day or strategy day; a joint training session, a regular schedule of team dinners, a summer BBQ at your home…. Now’s the time to think things through.

AFTER the people planning session: Make sure you follow through
Congratulations! You’ve developed your draft people plan. Now it’s time to turn the ideas into action.
1. Agree a concrete next step with each person
Schedule time, perhaps during your regular 1:1s, to sit down with each person and discuss your thinking.
You may well have a corporate mandated ‘feedback and performance review meeting’ but actually doing this outside that cycle shows that this isn’t a ticking-the-box activity for you, but a genuine attempt to fight for that person’s highest possible good.
During the discussion, come to an agreement around focus areas. It may be they have different priorities from you, and you’ll need to adapt. Remember your 1-2 initiatives are only a starting point. In any case, the key is to agree a concrete next step that can clearly be ticked off as “done” in the next 2-4 weeks … and go ahead and put it in the diary.
2. Implement a follow-up structure
One of the tools I teach my clients is the ideas of STRUCTURE vs LIFE. The trellis and the vine. The life (the business and the day-to-day workings of the team) is what’s important, but it really needs the structure (meetings, systems, processes) to help it flourish.

Take time now to schedule in the structures that you need to take your team to a new level in the year ahead. For example:
To summarise all this, capture every initiative you want to take forward along with a first step and a way that you can pretty much guarantee the follow-through will happen and the initiative will get done. Something like the table below:

# The piece is interrupted by records of crystals
-- begin --
Calculated X-ray powder pattern
Compound: PmDy8Er3
Radiation: Cu Kα
Structure: a crystal structure in Alexandria, relaxed with PBE
Kinematic intensities with the Lorentz-polarization factor, no thermal factor.

Structure:
```
data_PmDy8Er3
_chemical_formula_sum 'Pm2 Dy16 Er6'
_cell_length_a 8.6410
_cell_length_b 8.6410
_cell_length_c 11.3271
_cell_angle_alpha 90.00
_cell_angle_beta 90.00
_cell_angle_gamma 90.00
_symmetry_space_group_name_H-M 'I -4 2 m'
_symmetry_Int_Tables_number 121
_symmetry_space_group_name_Hall 'I -4 2'
loop_
_atom_site_label
_atom_site_type_symbol
_atom_site_fract_x
_atom_site_fract_y
_atom_site_fract_z
_atom_site_occupancy
Pm1 Pm 0.0000 0.0000 0.0000 1
Dy1 Dy 0.1263 0.1263 0.2537 1
Dy2 Dy 0.2456 0.2456 0.5088 1
Er1 Er 0.0000 0.0000 0.5000 1
Er2 Er 0.0000 0.5000 0.2500 1
```

Most intense lines, 2θ from 15° to 90°, in order of rising 2θ:
24.3°, 3.657 Å, I = 626, hkl 2 1 1
25.9°, 3.435 Å, I = 536, hkl 2 0 2
29.2°, 3.055 Å, I = 786, hkl 2 2 0
31.6°, 2.832 Å, I = 710, hkl 0 0 4
33.2°, 2.701 Å, I = 292, hkl 2 1 3
36.5°, 2.461 Å, I = 1000, hkl 3 1 2
43.6°, 2.077 Å, I = 522, hkl 2 2 4
44.9°, 2.018 Å, I = 468, hkl 4 0 2
56.7°, 1.624 Å, I = 273, hkl 5 1 2
70.0°, 1.344 Å, I = 288, hkl 4 4 4

=====

Record 1
This entry pairs a crystal structure of HfH8S2O12 with its simulated XRD peak list. Radiation: Cu Kα X-rays. Structure: a GGA-PBE-relaxed structure.
No peak broadening, texture or thermal motion is included.

Peak list (10 most intense, 15 to 90 degrees two-theta, in order of falling intensity)
h k l  2θ (°)  Rel. int.
1 1 3  20.28  100
1 3 3  29.80  79
1 1 1  17.84  49
2 2 4  38.11  41
0 2 6  25.58  39
0 2 2  16.71  26
1 3 9  42.07  21
0 4 0  30.81  16
2 0 10  47.50  16
3 1 7  55.40  14

Atomic structure:
```
data_HfH8S2O12
_cell_length_a 5.629
_cell_length_b 11.609
_cell_length_c 26.116
_cell_angle_alpha 90.00
_cell_angle_beta 90.00
_cell_angle_gamma 90.00
_space_group_name_H-M_alt 'F d d d'
_space_group_IT_number 70
loop_
_space_group_symop_operation_xyz
'x,y,z'
'-x,-y,-z'
'-x+1/4,-y+1/4,z'
'x+1/4,y+1/4,-z'
'x,-y+1/4,-z+1/4'
'-x,y+1/4,z+1/4'
'-x+1/4,y,-z+1/4'
'x+1/4,-y,z+1/4'
'x,y+1/2,z+1/2'
'-x,-y+1/2,-z+1/2'
'-x+1/4,-y+3/4,z+1/2'
'x+1/4,y+3/4,-z+1/2'
'x,-y+3/4,-z+3/4'
'-x,y+3/4,z+3/4'
'-x+1/4,y+1/2,-z+3/4'
'x+1/4,-y+1/2,z+3/4'
'x+1/2,y,z+1/2'
'-x+1/2,-y,-z+1/2'
'-x+3/4,-y+1/4,z+1/2'
'x+3/4,y+1/4,-z+1/2'
'x+1/2,-y+1/4,-z+3/4'
'-x+1/2,y+1/4,z+3/4'
'-x+3/4,y,-z+3/4'
'x+3/4,-y,z+3/4'
'x+1/2,y+1/2,z'
'-x+1/2,-y+1/2,-z'
'-x+3/4,-y+3/4,z'
'x+3/4,y+3/4,-z'
'x+1/2,-y+3/4,-z+1/4'
'-x+1/2,y+3/4,z+1/4'
'-x+3/4,y+1/2,-z+1/4'
'x+3/4,-y+1/2,z+1/4'
loop_
_atom_site_label
_atom_site_type_symbol
_atom_site_fract_x
_atom_site_fract_y
_atom_site_fract_z
Hf1 Hf 0.125 0.125 0.125
H1 H 0.067 0.004 0.310
H2 H 0.119 0.358 0.276
S1 S 0.125 0.125 0.432
O1 O 0.087 0.318 0.310
O2 O 0.087 0.351 0.714
-- stop --

The people plan / team development plan: A summary
So, we’ve seen why it’s so important to be strategic and intentional in improving your team’s ability to create results, collectively and individually. We’ve also run through a step-by-step process for doing just that - the “People Plan” process for team development:
It’s far quicker and simpler to do this process if you’ve got all the worksheets ready and at hand, to act as a prompt and to stimulate your thinking. You can download them using the link below:
P.S. How about doing a “People Plan on steroids”?
Hopefully by now you’ve seen the rationale for creating a strategic people plan that goes beyond the typical corporate annual review process.
But how about doing a turbo-boosted version?
Each month I offer a limited number of complimentary 1:1 consultations, which you can apply for here. A great use of this intense coaching time is to work on and develop a really robust people plan.
By doing the People Plan with an experienced coach, you’ll have your thinking pushed, your assumptions questions and your blindspots revealed. It’s a fantastic way of creating a robust and practical team development plan.